Charlie Gordon was a student participant in the Google Highly Open Participation Contest, an earlier version of Google Code-in that pairs high school students with mentors in open source projects. Here he discusses his recent experience as a Mentor for the 2010-2011 Google Code-in.
There were so many great stories from Google Code-in that it's hard to pick out just a few. I'm always so excited to get young people involved in open source - I remember how excited I was when I participated in the Google Highly Open Participation Contest myself back in 2007-2008. The program opened many exciting doors for me, including going to Drupal conferences, becoming involved in Drupal core development, and even eventually going to college at MIT, where I am now. It brings me great joy to be able to help open the same doors for the next generation of bright young open source enthusiasts.
Crystal structures, as found in the file
/*
[1]
# Na2PrGeO5 | the Materials Project database | PBE | optimized geometry
data_Na2PrGeO5
_chemical_formula_sum 'Na8 Pr4 Ge4 O20'
_symmetry_space_group_name_H-M 'P n m a'
_symmetry_Int_Tables_number 62
_cell_length_a 9.624
_cell_length_b 7.658
_cell_length_c 6.863
_cell_angle_alpha 90.00
_cell_angle_beta 90.00
_cell_angle_gamma 90.00
loop_
_symmetry_equiv_pos_as_xyz
'x,y,z'
'-x,-y,-z'
'-x+1/2,-y,z+1/2'
'x+1/2,y,-z+1/2'
'x+1/2,-y+1/2,-z+1/2'
'-x+1/2,y+1/2,z+1/2'
'-x,y+1/2,-z'
'x,-y+1/2,z'
loop_
_atom_site_label
_atom_site_fract_x
_atom_site_fract_y
_atom_site_fract_z
_atom_site_occupancy
Na1 0.176 0.034 0.135 1
Pr1 0.043 0.250 0.623 1
Ge1 0.091 0.750 0.822 1
O1 0.023 0.250 0.978 1
O2 0.061 0.568 0.667 1
O3 0.213 0.750 0.279 1
O4 0.232 0.250 0.392 1
# ΔH_f (0 K) in meV/atom: -2408

[2]
# NaPr9Ge6O26 | the Materials Project database | PBE | optimized geometry
data_NaPr9Ge6O26
_chemical_formula_sum 'Na1 Pr9 Ge6 O26'
_symmetry_space_group_name_H-M 'P 3'
_symmetry_Int_Tables_number 143
_cell_length_a 9.9079
_cell_length_b 9.9079
_cell_length_c 7.2467
_cell_angle_alpha 90.00
_cell_angle_beta 90.00
_cell_angle_gamma 120.00
loop_
_symmetry_equiv_pos_as_xyz
'x,y,z'
'-y,x-y,z'
'-x+y,-x,z'
loop_
_atom_site_label
_atom_site_fract_x
_atom_site_fract_y
_atom_site_fract_z
_atom_site_occupancy
Na1 0.0000 0.0000 0.0000 1
Pr1 0.0000 0.0000 0.4924 1
Pr2 0.0959 0.4363 0.7439 1
Pr3 0.1003 0.6738 0.2421 1
Pr4 0.6667 0.3333 0.4932 1
Pr5 0.6667 0.3333 0.9928 1
Ge1 0.3028 0.2640 0.7444 1
Ge2 0.3585 0.0646 0.2440 1
O1 0.0290 0.1852 0.2500 1
O2 0.0877 0.7617 0.5494 1
O3 0.0951 0.7487 0.9289 1
O4 0.2061 0.0598 0.7319 1
O5 0.3333 0.6667 0.2419 1
O6 0.3333 0.6667 0.7335 1
O7 0.4337 0.0148 0.0485 1
O8 0.4382 0.0150 0.4364 1
O9 0.4652 0.2727 0.2423 1
O10 0.5089 0.3486 0.7434 1
# ΔH_f (0 K) in meV/atom: -3101

~~~~~

A plane-wave DFT calculation with r²SCAN was carried out for an optimized crystal structure of CeAu2.

Lattice parameters (Å, degrees): 5.962 5.965 5.965 133.07 106.11 92.28
Fractional coordinates of all 6 atoms:
Ce 0.744 0.494 0.250
Ce 0.256 0.506 0.750
Au 0.840 0.834 0.006
Au 0.160 0.166 0.994
Au 0.674 0.166 0.508
Au 0.326 0.834 0.492

The space-group type is No. 12. As for the calculated formation energy: -832 meV per atom. The value obtained for the electronic total energy is -44.84 eV/atom.

~~~~~

(1)
Entry from the Materials Project database: a relaxed Y2GeRh3 crystal (meta-GGA r2SCAN).

Cell and atoms, written as POSCAR:
```
Y2GeRh3
1.0
4.661 -0.007 2.040
1.331 4.467 2.040
-0.009 -0.007 5.088
Y Rh Ge
2 3 1
direct
0.371 0.371 0.371
0.629 0.629 0.629
0.000 0.500 0.000
0.000 0.000 0.500
0.500 0.000 0.000
0.000 0.000 0.000
```

Values from the calculation:
- calculated formation energy (meV per atom) = -931
- M_tot (μB per cell) = 0.00

---

(2)
Entry from the Materials Project database: a relaxed Ta2NiSe5 crystal (meta-GGA r2SCAN).

Cell and atoms, written as POSCAR:
```
Ta2NiSe5
1.0
5.768 2.499 2.934
-6.303 0.970 -2.732
-6.446 -1.826 14.226
Se Ta Ni
10 4 2
*/
Now for the stories! I'm always impressed when students, who are used to doing only what they're specifically told to do for school assignments, go above and beyond. Especially in the format of a contest where the incentives lead students to do the bare minimum, I find those students who put in a real effort to go above and beyond are those who really care about the open source project, and are those who are most likely to stick with it after the contest ends. Here are some of these students:
A student from Thailand, "chalet16", worked on five complex coding tasks for Drupal's style guide module. Over many iterations with the tasks' mentor, the quality of chalet16's code improved, and he also became more comfortable with using drupal.org's issue queue, a key part of our development process. Not only were the tasks well done, but when chalet16 encountered software bugs in parts of the code that he wasn't working directly on, chalet16 had no problem taking the initiative and opening new issues for the bugs, even submitting additional patches to those issues that fixed the problem. That's exactly the kind of participation that we want to attract to our project, and to open source software development in general.
Despite not having very much experience in PHP, “aantn,” a student from Israel, found ways to contribute to the Drupal project, such as by writing a Python script to survey test coverage statistics for Drupal core and the top 50 or so modules. We now have a much better idea of where and to what extent our automated testing system is being used, and making such statistics public will hopefully encourage module maintainers to write more test coverage for their code.
## Unrelated to this text: materials data
La10C4I15 | meta-GGA r2SCAN | relaxed

```
La10C4I15
1.0
9.8983 -0.0138 0.0008
-3.5677 10.2269 0.0039
-4.9252 -2.5332 10.5393
La C I
10 4 15
Direct
0.5986 0.5407 0.3432
0.3432 0.7461 0.1656
0.7797 0.8855 0.2589
0.5285 0.1878 0.1039
0.2203 0.1145 0.7411
0.4014 0.4593 0.6568
0.4715 0.8122 0.8961
0.7057 0.5674 0.0445
0.2943 0.4326 0.9555
0.6568 0.2539 0.8344
0.4817 0.2996 0.9367
0.5183 0.7004 0.0633
0.4522 0.3612 0.8331
0.5478 0.6388 0.1669
0.2061 0.9058 0.9370
0.1030 0.1867 0.4644
0.1479 0.5546 0.7022
0.4056 0.9677 0.6455
0.7168 0.7340 0.8215
0.2832 0.2660 0.1785
0.8521 0.4454 0.2978
0.8970 0.8133 0.5356
0.3587 0.6305 0.4154
0.0579 0.8336 0.2221
0.7939 0.0942 0.0630
0.6413 0.3695 0.5846
0.9421 0.1664 0.7779
0.5944 0.0323 0.3545
0.0000 0.5000 0.0000
```

Properties
As for the density: 5.20 g/cm³. Its formation energy is -43.56 eV/f.u. Its space group is P-1 (2).
We specified a task that called for a Drupal core patch to allow a "full preview" button on the content submission form. Halfway through the task, Romanian student "bluman," encountered big roadblocks to that patch. After discussing the issue, we realized that the task would not work as a patch for Drupal core, but would have to be rewritten from the ground up as a contributed module. However, rather than give up, bluman worked hard to redo the task as a module, and came up with fantastic results.
Finally, we set a task to translate a small to medium sized module into another language. Another student from Romania, “ungureanuvladvictor," went way above and beyond the task description, translating one of the largest and most widely used contributed Drupal modules into Romanian. The translation file had more than 1,000 translations in it, a very impressive feat for such a short period of time. I had to scramble to find a Romanian speaker willing to review such a large translation!
== Records of crystals from another source follow ==
=====
1.
Compound: Sc2V3Ge4
Source: the Materials Project database
Functional: GGA-PBE
Structure: relaxed

```
Sc2V3Ge4
1.0
6.637 0.000 0.000
0.000 6.786 0.000
0.000 0.000 12.795
Ge V Sc
16 12 8
Cartesian
0.242 5.957 3.199 Ge
5.380 2.405 3.199 Ge
3.560 4.223 3.199 Ge
3.077 2.564 9.596 Ge
1.180 3.677 0.547 Ge
4.499 6.503 0.547 Ge
5.457 3.110 12.249 Ge
5.457 3.110 6.944 Ge
1.180 3.677 5.851 Ge
2.139 0.283 12.249 Ge
2.139 0.283 6.944 Ge
4.576 5.798 9.596 Ge
4.499 6.503 5.851 Ge
2.061 0.988 3.199 Ge
6.396 0.830 9.596 Ge
1.258 4.381 9.596 Ge
4.375 1.127 11.164 V
2.262 5.659 4.766 V
1.057 2.266 8.029 V
1.091 3.494 3.199 V
1.057 2.266 11.164 V
5.581 4.520 4.766 V
5.581 4.520 1.631 V
5.546 3.292 9.596 V
4.410 6.685 3.199 V
4.375 1.127 8.029 V
2.227 0.101 9.596 V
2.262 5.659 1.631 V
3.258 4.576 11.603 Sc
0.061 1.183 5.206 Sc
6.577 5.603 11.603 Sc
6.577 5.603 7.590 Sc
3.379 2.210 1.192 Sc
3.379 2.210 5.206 Sc
3.258 4.576 7.590 Sc
0.061 1.183 1.192 Sc
```

## Properties
Space-group type   No. 62

=====

2.
Compound: DyTlTe2
Source: the Materials Project database
Functional: GGA-PBE
Structure: relaxed

```
DyTlTe2
1.0
1.719 -3.947 1.114
3.638 -1.505 -2.068
6.522 1.844 5.348
Dy Tl Te
1 1 2
Cartesian
0.000 0.000 0.000 Dy
5.939 -1.804 2.197 Tl
2.793 -1.039 0.887 Te
9.085 -2.570 3.507 Te
```

## Properties
Total energy after the MP2020 corrections   -18.3 eV for the cell shown
Space-group type   No. 166

=====

3.
Compound: La2Nb2N2O5
Source: the Materials Project database
Functional: GGA-PBE
Structure: relaxed

```
La2Nb2N2O5
1.0
4.330 -0.744 6.226
6.193 -0.614 -4.397
5.912 4.672 1.095
O N Nb La
10 4 4 4
Cartesian
5.642 1.897 3.746 O
5.258 -0.679 0.933 O
4.700 -0.719 4.117 O
8.016 3.726 4.191 O
7.391 1.599 6.175 O
10.804 0.768 1.894 O
5.815 -0.640 -2.241 O
7.486 -0.477 4.047 O
5.635 2.546 1.009 O
9.863 1.352 4.480 O
2.031 -0.238 0.354 N
14.404 3.552 2.571 N
8.686 1.690 -1.208 N
8.111 1.650 2.066 N
9.110 0.169 2.909 Nb
6.879 3.113 2.554 Nb
6.069 0.361 5.229 Nb
8.950 2.854 5.765 Nb
3.871 0.840 2.084 La
12.089 2.441 3.545 La
9.933 2.828 0.374 La
6.979 0.520 -0.172 La
```

## Properties
Energy above the lowest structure with this stoichiometry   24 meV/atom
Total energy after the MP2020 corrections   -204.0 eV for the cell shown
Space-group type   No. 5

=====

4.
Compound: Zr3Mn8Si
Source: the Materials Project database
Functional: GGA-PBE
Structure: relaxed

```
Zr3Mn8Si
1.0
3.172 0.325 3.658
-4.759 -0.205 0.926
0.414 -8.031 0.353
Mn Zr Si
8 3 1
Cartesian
0.734 -3.838 2.923 Mn
-0.270 -5.850 3.971 Mn
2.220 -5.743 3.487 Mn
-2.266 -2.160 0.589 Mn
-0.722 -2.002 2.371 Mn
0.940 -7.826 3.098 Mn
0.561 -5.913 1.574 Mn
-3.039 -2.102 2.822 Mn
-1.885 -4.494 2.033 Zr
-1.728 -7.539 2.167 Zr
0.033 -0.636 0.028 Zr
0.181 -3.502 0.154 Si
```

## Properties
Total energy after the MP2020 corrections   -106.4 eV for the cell shown
Space-group type   No. 156

=====

5.
Compound: La2Zn2O5
Source: the Materials Project database
Functional: GGA-PBE
Structure: relaxed

```
La2Zn2O5
1.0
=====
Really, there are so many impressive students out there.
By Charlie Gordon, Drupal.org mentor
We always hope that the students who participate in programs like Google Code-in and Google Summer of Code develop a bond with the open source community they work with during the program and continue to contribute to the community long after the contest ends. Charlie Gordon is a prime example; he not only continues to be actively involved in the Drupal community but he is also sharing his experience and wisdom with younger developers and helping them become contributors to open source. Great job, Charlie!
By Stephanie Taylor, Open Source Programs Office